**Wanted**
Count the lines further below that contain the word "crystal" and give the number alone.
**Source**
- - -
This entry pairs a crystal structure of Fe3OF5 with its computed X-ray powder pattern. Radiation: copper Kα. Structure: a PBE+U-relaxed structure.

Largest 10 diffraction maxima, by angle, 2θ = 10–90°:
hkl, 2theta, intensity
0 2 0, 25.88, 87
2 0 -2, 26.32, 89
3 1 0, 33.78, 100
2 2 1, 38.57, 22
4 0 -1, 38.87, 17
3 3 0, 50.90, 58
1 1 -4, 51.39, 54
0 4 0, 53.22, 23
4 0 2, 58.08, 18
5 3 -2, 64.95, 39

Crystal structure
```
data_Fe3OF5
_chemical_formula_sum 'Fe12 O4 F20'
_symmetry_space_group_name_H-M 'C 1 2/m 1'
_symmetry_Int_Tables_number 12
_cell_length_a 9.2812
_cell_length_b 6.8850
_cell_length_c 7.4844
_cell_angle_alpha 90.00
_cell_angle_beta 111.69
_cell_angle_gamma 90.00
loop_
_symmetry_equiv_pos_as_xyz
'x,y,z'
'-x,-y,-z'
'-x,y,-z'
'x,-y,z'
'x+1/2,y+1/2,z'
'-x+1/2,-y+1/2,-z'
'-x+1/2,y+1/2,-z'
'x+1/2,-y+1/2,z'
loop_
_atom_site_label
_atom_site_type_symbol
_atom_site_fract_x
_atom_site_fract_y
_atom_site_fract_z
Fe1 Fe 0.0000 0.0000 0.0000
Fe2 Fe 0.0000 0.0000 0.5000
Fe3 Fe 0.1647 0.5000 0.1854
Fe4 Fe 0.1778 0.5000 0.6516
O1 O 0.2172 0.0000 0.5377
F1 F 0.0000 0.2980 0.5000
F2 F 0.0707 0.5000 0.8700
F3 F 0.0961 0.0000 0.7970
F4 F 0.1653 0.2082 0.1567
```

----------

This entry pairs a crystal structure of CeMg6Cr with its computed PXRD pattern. Radiation: Cu Kα (λ = 1.5418 Å). Structure: a DFT-relaxed cell (PBE, the Materials Project).

Atomic structure:
a b c (Å): 5.035 6.522 11.412
angles (deg): 90.00 90.00 90.00
Space group Amm2 (No. 38)
Inequivalent atoms, fractional coordinates:
Ce1 0.000 0.000 0.000 (multiplicity 2)
Mg1 0.000 0.000 0.516 (multiplicity 2)
Mg2 0.000 0.239 0.756 (multiplicity 4)
Mg3 0.500 0.000 0.345 (multiplicity 2)
Mg4 0.500 0.241 0.601 (multiplicity 4)
Cr1 0.500 0.000 0.845 (multiplicity 2)

Top 12 peaks for 2θ = 10–80°, by intensity:
two_theta, I_rel, h k l
36.4, 100, 1 2 2
15.6, 81, 0 1 1
23.6, 68, 1 0 2
36.2, 62, 1 0 4
35.7, 38, 2 0 0
31.6, 37, 0 2 2
- - -
**Reply**
2